The reader should quote the lines further below up to the one that holds "[[9.3894, 0.0000,", that line included.

********
{
  "formula": "Na9CaFe10Si20O60",
  "functional": "GGA+U",
  "state": "relaxed",
  "lattice_angstrom": [[9.3894, 0.0000, 0.0000], [-0.3468, 10.4017, 0.0000], [-0.9784, -4.0503, 11.4734]],
  "species": ["Na", "Na", "Na", "Na", "Na", "Na", "Na", "Na", "Na", "Ca", "Fe", "Fe", "Fe", "Fe", "Fe", "Fe", "Fe", "Fe", "Fe", "Fe", "Si", "Si", "Si", "Si", "Si", "Si", "Si", "Si", "Si", "Si", "Si", "Si", "Si", "Si", "Si", "Si", "Si", "Si", "Si", "Si", "O", "O", "O", "O", "O", "O", "O", "O", "O", "O", "O", "O", "O", "O", "O", "O", "O", "O", "O", "O", "O", "O", "O", "O", "O", "O", "O", "O", "O", "O", "O", "O", "O", "O", "O", "O", "O", "O", "O", "O", "O", "O", "O", "O", "O", "O", "O", "O", "O", "O", "O", "O", "O", "O", "O", "O", "O", "O", "O", "O"],
  "frac_coords": [[0.0000, 0.0000, 0.0000], [0.0368, 0.4211, 0.9814], [0.1961, 0.6006, 0.4012], [0.2362, 0.0183, 0.3801], [0.4370, 0.6223, 0.7817], [0.5975, 0.8028, 0.2024], [0.6382, 0.2203, 0.1814], [0.7958, 0.4010, 0.6005], [0.8387, 0.8201, 0.5822], [0.3941, 0.1984, 0.8037], [0.0755, 0.3414, 0.4607], [0.1583, 0.6828, 0.9215], [0.2733, 0.9346, 0.8607], [0.3580, 0.2789, 0.3208], [0.4767, 0.5435, 0.2629], [0.5566, 0.8780, 0.7213], [0.6815, 0.1401, 0.6601], [0.7576, 0.4802, 0.1212], [0.8769, 0.7421, 0.0616], [0.9585, 0.0788, 0.5203], [0.0422, 0.3127, 0.1889], [0.1141, 0.6671, 0.6525], [0.1174, 0.3523, 0.7294], [0.1919, 0.7086, 0.1941], [0.2433, 0.9119, 0.5879], [0.3154, 0.2720, 0.0554], [0.3193, 0.9503, 0.1303], [0.3922, 0.3090, 0.5931], [0.4435, 0.5160, 0.9900], [0.5140, 0.8705, 0.4535], [0.5199, 0.5522, 0.5295], [0.5919, 0.9081, 0.9935], [0.6424, 0.1132, 0.3886], [0.7142, 0.4689, 0.8520], [0.7211, 0.1529, 0.9313], [0.7914, 0.5085, 0.3938], [0.8423, 0.7126, 0.7881], [0.9143, 0.0695, 0.2529], [0.9202, 0.7514, 0.3297], [0.9909, 0.1074, 0.7936], [0.0124, 0.1290, 0.3795], [0.0214, 0.2920, 0.6026], [0.0781, 0.9874, 0.8132], [0.0813, 0.4958, 0.8199], [0.0852, 0.6649, 0.0721], [0.0907, 0.7571, 0.3052], [0.1024, 0.2389, 0.7992], [0.1384, 0.7785, 0.5824], [0.1443, 0.2653, 0.0786], [0.1483, 0.0298, 0.5654], [0.1486, 0.3551, 0.3112], [0.1506, 0.5217, 0.5618], [0.2119, 0.7178, 0.7770], [0.2171, 0.8885, 0.0086], [0.2837, 0.0972, 0.2197], [0.2859, 0.5907, 0.2171], [0.2867, 0.2638, 0.4714], [0.2901, 0.3533, 0.7049], [0.3006, 0.8414, 0.2037], [0.3360, 0.3824, 0.9821], [0.3428, 0.8635, 0.4757], [0.3507, 0.6317, 0.9649], [0.3545, 0.9624, 0.7064], [0.3579, 0.1330, 0.9633], [0.4127, 0.3316, 0.1816], [0.4216, 0.4926, 0.4036], [0.4819, 0.6973, 0.6180], [0.4859, 0.1943, 0.6231], [0.4900, 0.8628, 0.8700], [0.4900, 0.9581, 0.1041], [0.4980, 0.4423, 0.6014], [0.5348, 0.9814, 0.3828], [0.5423, 0.4585, 0.8768], [0.5499, 0.2321, 0.3668], [0.5498, 0.5571, 0.1116], [0.5532, 0.7252, 0.3653], [0.6123, 0.9305, 0.5799], [0.6209, 0.0962, 0.8047], [0.6803, 0.2979, 0.0187], [0.6851, 0.4664, 0.2716], [0.6860, 0.7917, 0.0189], [0.6904, 0.5570, 0.5048], [0.6995, 0.0418, 0.0008], [0.7344, 0.5796, 0.7815], [0.7438, 0.0641, 0.2784], [0.7486, 0.1558, 0.5108], [0.7488, 0.8301, 0.7643], [0.7517, 0.3240, 0.7620], [0.8108, 0.5279, 0.9787], [0.8224, 0.6920, 0.2032], [0.8827, 0.8968, 0.4192], [0.8841, 0.0685, 0.6713], [0.8845, 0.3905, 0.4167], [0.8904, 0.1616, 0.9051], [0.8986, 0.6413, 0.4010], [0.9355, 0.1797, 0.1818], [0.9426, 0.6627, 0.6766], [0.9478, 0.4295, 0.1653], [0.9475, 0.7544, 0.9106], [0.9514, 0.9241, 0.1644]],
  "delta_e_f_ev_per_atom": -2.76,
  "crystal_system": "triclinic",
  "dft_energy_ev_per_atom": -7.158,
  "mass_density_g_cm3": 3.45
}


{
  "formula": "VBi2O5",
  "functional": "GGA+U",
  "state": "relaxed",
  "lattice_angstrom": [[5.4559, 0.0000, 0.0000], [0.0000, 16.5461, 0.0000], [0.0000, 0.0000, 15.6031]],
********

{
  "formula": "Na9CaFe10Si20O60",
  "functional": "GGA+U",
  "state": "relaxed",
  "lattice_angstrom": [[9.3894, 0.0000, 0.0000], [-0.3468, 10.4017, 0.0000], [-0.9784, -4.0503, 11.4734]],